Activity
What is needed: quote the lines below up to the one that holds "Sb: 0.500", that line included.

Data
~~~
LiNiO3: relaxed, PBE with a Hubbard U.

## Properties
* uncorrected energy: -17.146 eV per cell

Lattice parameters (Å, degrees): 3.5040 3.5040 3.5040 90.00 90.00 90.00
Fractional positions:
O  0.5000  0.0000  0.0000
O  0.0000  0.0000  0.5000
O  0.0000  0.5000  0.0000
Li  0.0000  0.0000  0.0000
Ni  0.5000  0.5000  0.5000

* * * * *

FePt4 PBEsol relaxed; M_tot = 3.79 μB/f.u.; space-group type = I4/m, No. 87; calculated total energy = -7.4727 eV/atom
1.0
-1.915 -2.142 2.585
1.280 -4.555 0.063
2.054 -0.183 4.259
Fe Pt
1 4
Cartesian
0.000 0.000 0.000 Fe
1.098 -4.596 2.783 Pt
0.321 -2.284 4.124 Pt
0.897 -4.584 5.534 Pt
0.523 -2.297 1.373 Pt

* * * * *

Compound: SnHS2N
Source: the Alexandria database
Functional: PBE
Structure: optimized geometry

Output
**Energy above the most stable polymorph in this dataset**: 0.0 meV per atom
**Total magnetic moment**: 0.0 μB/f.u.

POSCAR file:
```
SnHS2N
1.0
3.414 0.000 0.000
0.000 3.414 0.000
0.000 0.000 7.014
Sn H S N
1 1 2 1
Direct
0.000 0.000 0.000
0.500 0.500 0.500
0.000 0.500 0.500
0.500 0.000 0.500
0.500 0.500 0.000
```



Compound: In3MoC
Source: the Alexandria database
Functional: PBE
Structure: optimized geometry

Output
**Energy above the most stable polymorph in this dataset**: 0.0 meV per atom
**Formation energy from the elements**: 1.320 eV/atom
**Total magnetic moment**: 3.0 μB/f.u.

POSCAR file:
```
In3MoC
1.0
4.646 0.000 0.000
0.000 4.646 0.000
0.000 0.000 4.646
In Mo C
3 1 1
Direct
0.000 0.000 0.500
0.000 0.500 0.000
0.500 0.000 0.000
0.500 0.500 0.500
0.000 0.000 0.000
```



The records above give, respectively, DOS at the Fermi energy values of 0.382 0.842 states/eV per atom.

* * * * *

1.
## SrTl3Ir (PBE)

Data for crystalline SrTl3Ir at its relaxed geometry.

Lattice parameters (Å, degrees): 5.338 5.338 5.338 90.00 90.00 90.00
Space group Pm-3m (No. 221)
Asymmetric unit:
Sr: 0.000 0.000 0.000 [1 per cell]
Tl: 0.000 0.500 0.500 [3 per cell]
Ir: 0.500 0.500 0.500 [1 per cell]

Output
theoretical density = 9.750 g/cm³
total moment = 0.00 μB per formula unit
V = 152.1 Å³/cell
E above lowest polymorph = 0 meV/atom
energy relative to the elements = 0.029 eV/atom

2.
## Pm3Y8Ho2 (PBE)

Data for crystalline Pm3Y8Ho2 at its relaxed geometry.

Lattice parameters (Å, degrees): 20.110 7.725 5.688 90.00 90.07 90.00
Space group C2/m (No. 12)
Asymmetric unit:
Pm: 0.000 0.000 0.000 [2 per cell]
Pm: 0.000 0.291 0.500 [4 per cell]
Y: 0.108 0.291 0.000 [8 per cell]
Y: 0.135 0.000 0.499 [4 per cell]
Y: 0.173 0.500 0.501 [4 per cell]
Ho: 0.241 0.000 0.998 [4 per cell]

Output
theoretical density = 5.548 g/cm³
total moment = 0.00 μB per formula unit
V = 883.6 Å³/cell
E above lowest polymorph = 227 meV/atom
energy relative to the elements = 0.246 eV/atom

3.
## Si2SbMo (PBE)

Data for crystalline Si2SbMo at its relaxed geometry.

Lattice parameters (Å, degrees): 3.245 3.245 6.617 90.00 90.00 90.00
Space group P4/mmm (No. 123)
Asymmetric unit:
Si: 0.000 0.000 0.188 [2 per cell]
Sb: 0.500 0.500 0.500 [1 per cell]
Mo: 0.500 0.500 0.000 [1 per cell]

Output
theoretical density = 6.525 g/cm³
total moment = 0.00 μB per formula unit
V = 69.7 Å³/cell
ΔE_f (raw) = 0.109 eV per atom

4.
## BaCu2C2 (PBE)

Data for crystalline BaCu2C2 at its relaxed geometry.

Lattice parameters (Å, degrees): 3.909 3.909 10.244 90.00 90.00 90.00
Space group I4/mmm (No. 139)
Asymmetric unit:
Ba: 0.000 0.000 0.000 [2 per cell]
Cu: 0.000 0.000 0.303 [4 per cell]
C: 0.000 0.500 0.250 [4 per cell]

Output
theoretical density = 6.119 g/cm³
total moment = 0.00 μB per formula unit
V = 156.6 Å³/cell
E above lowest polymorph = 0 meV/atom
energy relative to the elements = 0.883 eV/atom

5.
## Ta2AsBr (PBE)

Data for crystalline Ta2AsBr at its relaxed geometry.

Lattice parameters (Å, degrees): 3.187 4.595 10.098 90.00 90.00 90.00
Space group Imm2 (No. 44)
Asymmetric unit:
Ta: 0.000 0.000 0.000 [2 per cell]
Ta: 0.000 0.500 0.213 [2 per cell]
As: 0.000 0.000 0.503 [2 per cell]
Br: 0.000 0.500 0.719 [2 per cell]

Output
~~~

Written answer
LiNiO3: relaxed, PBE with a Hubbard U.

## Properties
* uncorrected energy: -17.146 eV per cell

Lattice parameters (Å, degrees): 3.5040 3.5040 3.5040 90.00 90.00 90.00
Fractional positions:
O  0.5000  0.0000  0.0000
O  0.0000  0.0000  0.5000
O  0.0000  0.5000  0.0000
Li  0.0000  0.0000  0.0000
Ni  0.5000  0.5000  0.5000

* * * * *

FePt4 PBEsol relaxed; M_tot = 3.79 μB/f.u.; space-group type = I4/m, No. 87; calculated total energy = -7.4727 eV/atom
1.0
-1.915 -2.142 2.585
1.280 -4.555 0.063
2.054 -0.183 4.259
Fe Pt
1 4
Cartesian
0.000 0.000 0.000 Fe
1.098 -4.596 2.783 Pt
0.321 -2.284 4.124 Pt
0.897 -4.584 5.534 Pt
0.523 -2.297 1.373 Pt

* * * * *

Compound: SnHS2N
Source: the Alexandria database
Functional: PBE
Structure: optimized geometry

Output
**Energy above the most stable polymorph in this dataset**: 0.0 meV per atom
**Total magnetic moment**: 0.0 μB/f.u.

POSCAR file:
```
SnHS2N
1.0
3.414 0.000 0.000
0.000 3.414 0.000
0.000 0.000 7.014
Sn H S N
1 1 2 1
Direct
0.000 0.000 0.000
0.500 0.500 0.500
0.000 0.500 0.500
0.500 0.000 0.500
0.500 0.500 0.000
```



Compound: In3MoC
Source: the Alexandria database
Functional: PBE
Structure: optimized geometry

Output
**Energy above the most stable polymorph in this dataset**: 0.0 meV per atom
**Formation energy from the elements**: 1.320 eV/atom
**Total magnetic moment**: 3.0 μB/f.u.

POSCAR file:
```
In3MoC
1.0
4.646 0.000 0.000
0.000 4.646 0.000
0.000 0.000 4.646
In Mo C
3 1 1
Direct
0.000 0.000 0.500
0.000 0.500 0.000
0.500 0.000 0.000
0.500 0.500 0.500
0.000 0.000 0.000
```



The records above give, respectively, DOS at the Fermi energy values of 0.382 0.842 states/eV per atom.

* * * * *

1.
## SrTl3Ir (PBE)

Data for crystalline SrTl3Ir at its relaxed geometry.

Lattice parameters (Å, degrees): 5.338 5.338 5.338 90.00 90.00 90.00
Space group Pm-3m (No. 221)
Asymmetric unit:
Sr: 0.000 0.000 0.000 [1 per cell]
Tl: 0.000 0.500 0.500 [3 per cell]
Ir: 0.500 0.500 0.500 [1 per cell]

Output
theoretical density = 9.750 g/cm³
total moment = 0.00 μB per formula unit
V = 152.1 Å³/cell
E above lowest polymorph = 0 meV/atom
energy relative to the elements = 0.029 eV/atom

2.
## Pm3Y8Ho2 (PBE)

Data for crystalline Pm3Y8Ho2 at its relaxed geometry.

Lattice parameters (Å, degrees): 20.110 7.725 5.688 90.00 90.07 90.00
Space group C2/m (No. 12)
Asymmetric unit:
Pm: 0.000 0.000 0.000 [2 per cell]
Pm: 0.000 0.291 0.500 [4 per cell]
Y: 0.108 0.291 0.000 [8 per cell]
Y: 0.135 0.000 0.499 [4 per cell]
Y: 0.173 0.500 0.501 [4 per cell]
Ho: 0.241 0.000 0.998 [4 per cell]

Output
theoretical density = 5.548 g/cm³
total moment = 0.00 μB per formula unit
V = 883.6 Å³/cell
E above lowest polymorph = 227 meV/atom
energy relative to the elements = 0.246 eV/atom

3.
## Si2SbMo (PBE)

Data for crystalline Si2SbMo at its relaxed geometry.

Lattice parameters (Å, degrees): 3.245 3.245 6.617 90.00 90.00 90.00
Space group P4/mmm (No. 123)
Asymmetric unit:
Si: 0.000 0.000 0.188 [2 per cell]
Sb: 0.500 0.500 0.500 [1 per cell]